NASA Administrator Bolden: NASA is deeply committed to Earth science and the value it provides people around the globe. We have been since our founding.
Image: The ISERV camera aboard the International Space Station acquired images of portions of Malawi (Africa) like this one that are being studied for changes in land use and subsistence agriculture. Residents of the villages adjacent to the mountainous region shown in this image are changing their land use patterns in response to changing climate and the demands of increased population. Credit: ISERV/NASA

It was my pleasure to attend the launch of the newest SERVIR hub SERVIR-Mekong in Thailand just a couple of weeks ago. Today, I joined hundreds of colleagues from our partner, USAID, and from around the world for a Town Hall about SERVIR and the impact of our global collaborations in Earth observation.

NASA and USAID have accomplished a lot together. Launch of this important new hub in the SERVIR network, which includes SERVIR-Himalaya, SERVIR-Eastern and Southern Africa and the Applied Sciences Team projects in Mesoamerica, is certainly tangible proof that what we’re doing is working.

### Materials data, kept here for reference
Entry 1:
Density functional theory data (r2SCAN) for a geometry-optimized Ca5Si2N6 structure.

Its crystal system is monoclinic. The density is 3.049 g cm⁻³. Its total energy is -500.994 eV per cell.

It has space group C2/c (No. 15), with a = 9.810 Å, b = 6.040 Å, c = 12.726 Å, α = 90.00°, β = 100.26° and γ = 90.00°. Symmetry generates all atoms from Ca at (0.000, 0.119, 0.250), Ca at (0.065, 0.240, 0.999), Ca at (0.153, 0.414, 0.716), Si at (0.223, 0.370, 0.424), N at (0.059, 0.456, 0.373), N at (0.151, 0.042, 0.648) and N at (0.224, 0.069, 0.438).

***

Entry 2:
Density functional theory data (r2SCAN) for a geometry-optimized CaTcN3 structure.

Its crystal system is monoclinic. The density is 4.348 g cm⁻³. Its total energy is -253.023 eV per cell.

It has space group C2/m (No. 12), with a = 12.203 Å, b = 3.639 Å, c = 6.438 Å, α = 90.00°, β = 105.74° and γ = 90.00°. Symmetry generates all atoms from Ca at (0.120, 0.000, 0.328), Tc at (0.155, 0.500, 0.850), N at (0.002, 0.500, 0.901), N at (0.156, 0.500, 0.581) and N at (0.180, 0.000, 0.991).

***

Entry 3:
Density functional theory data (r2SCAN) for a geometry-optimized Ca7TlN4 structure.

Its crystal system is orthorhombic. The density is 3.551 g cm⁻³. Its total energy is -299.536 eV per cell.

It has space group P2_12_12 (No. 18), with a = 11.635 Å, b = 11.997 Å, c = 3.624 Å, α = 90.00°, β = 90.00° and γ = 90.00°. Symmetry generates all atoms from Ca at (0.000, 0.000, 0.001), Ca at (0.025, 0.766, 0.501), Ca at (0.232, 0.174, 0.000), Ca at (0.234, 0.932, 0.501), Tl at (0.000, 0.500, 0.994), N at (0.128, 0.104, 0.501) and N at (0.144, 0.834, 0.001).

***

Formation energy from the elements? In order: -1.36; -0.57; -0.90 eV/atom.

Satellite images created by SERVIR, like the one above, were helpful tools in the disaster response effort in Nepal this year. / SERVIR/ICIMOD Much larger image

We get a lot of questions about our Earth observation work at NASA. In fact, a lot of people aren’t even aware that it’s such a core function of the agency. But make no mistake, NASA is deeply committed to Earth science and the value it provides people around the globe. We have been since our founding.

The more the SERVIR network and other partnerships expand, the more opportunities we have to test and showcase our newest Earth observation satellites. Missions like Global Precipitation Measurement (GPM), Soil Moisture Active Passive (SMAP) and others are now returning massive amounts of data and more Earth science missions are on the way.

I am also pleased that we are finding new ways to bring NASA’s science to meet USAID’s development objectives. We are excited that our scientists are being connected with international scientists to combine those people’s local knowledge with NASA’s Earth system science studies through USAID’s Partnership for Enhanced Engagement in Research, or PEER program. Twelve of our scientists now work with USAID-funded international collaborators to harness their collective knowledge for the benefit of development.

Our partnership between NASA and USAID allows us to work together to bring space to village. Moreover, it also is bringing “village to space” as NASA has learned new USAID terminology such as “results framework”, “indicators”, and “theory of change” terms that are more than just words, but help benchmark impacts and ensure the successful outcome of our activities. Together, our agencies have worked in 4 regions and 37 countries, developed 62 tailored decision support tools using Earth observations, increased the capacity of over 300 institutions, enabled 120 university fellows from 24 countries, and trained over 2000 people.

The International Space Station also is becoming a platform for Earth observation. There’s the ISERV test bed camera used by SERVIR end users, for instance which has acquired more than 140,000 images of across 6 continents to support response to floods, wildfires, tropical storms, and other extreme events around the world. Other instruments aboard the Station, including RapidScat to monitor ocean winds and the Cloud-Aerosol Transport System (CATS) to measure clouds and pollution, also are contributing to the wealth of Earth science data available to the public and to decision-makers like those SERVIR serves.

Together with our partners at USAID, we are all contributing to the effort to help bring our space-based science down to Earth for real time, real world applications that are changing the lives of people where they live.

The demand-driven approach of SERVIR is unique in the space world. The network is responsive and engaged and developing the demand-driven tools that are going to have the most impact for a specific region. I never doubted that there was a hunger for more information and ways for people everywhere to make a difference in their home regions, but the tools that SERVIR has provided have really started something special.

Just as the Space Station has become a model of international cooperation among nations who have many differences, so has SERVIR become a network not just of hubs, but also of regions and people.

I can’t think of anything more gratifying to demonstrate why our space program is vital to everyone on this planet.